____________
1.
Computed, not measured: C34H58MnN5SSi as an isolated structure, with ωB97M-V/def2-TZVPD.

Output
LUMO (alpha / beta): 2.556 / 2.557 eV
2S+1: 2
HOMO energy (alpha / beta): -3.4221 / -3.3828 eV
total charge: -1

Cartesian coordinates (Å):
Mn 0.0707 -0.7852 0.0956
C -4.6904 -2.1740 2.5488
C -4.4668 -0.6666 2.5039
N -3.1310 -0.2711 2.9055
C -2.0310 -0.3858 2.0997
S -2.2251 -0.5817 0.4017
N -0.8889 -0.2625 2.7647
N 0.2031 -0.3351 1.9585
C 1.3876 -0.1267 2.4773
C 1.6422 0.2586 3.8982
C 2.4566 -0.3005 1.5208
C 3.8157 -0.2090 1.8408
C 4.7550 -0.4987 0.8743
C 4.3322 -0.8680 -0.4034
C 2.9800 -0.8934 -0.6665
N 2.0601 -0.5931 0.2568
H -5.7250 -2.4226 2.2995
H -4.4761 -2.5680 3.5453
H -4.0332 -2.6687 1.8332
H -5.1723 -0.1521 3.1599
H -4.6341 -0.2923 1.4949
H -2.9025 -0.3432 3.8854
H 0.6942 0.3690 4.4174
H 2.1857 1.2068 3.9587
H 2.2388 -0.5019 4.4120
H 4.1143 0.0575 2.8457
H 5.8107 -0.4482 1.1103
H 5.0373 -1.1154 -1.1849
H 2.5911 -1.1638 -1.6410
C -1.1433 4.0484 -2.2626
C -0.6492 2.6234 -1.9722
C -1.8479 1.6938 -2.1904
C 0.3898 2.2768 -3.0421
Si 0.1348 2.2548 -0.1909
C 1.8996 3.2127 -0.1759
C 2.3806 3.3880 1.2719
C 1.9288 4.5970 -0.8388
C 2.9889 2.3876 -0.8649
C -0.9715 3.3040 1.1035
C -0.8075 4.8299 1.0506
C -2.4645 3.0203 0.8883
C -0.6606 2.8879 2.5489
H -1.5166 4.1077 -3.2959
H -0.3615 4.8003 -2.1570
H -1.9703 4.3336 -1.6126
H -2.2154 1.8066 -3.2203
H -2.6764 1.9120 -1.5190
H -1.5756 0.6512 -2.0314
H -0.0828 2.2687 -4.0341
H 0.8231 1.2868 -2.8694
H 1.2051 2.9991 -3.0776
H 1.7713 4.0921 1.8366
H 3.4100 3.7744 1.2720
H 2.3860 2.4363 1.8133
H 1.2086 5.2926 -0.4129
H 1.7406 4.5391 -1.9111
H 2.9283 5.0414 -0.7153
H 3.0792 1.4093 -0.4129
H 3.9595 2.8936 -0.7525
H 2.8151 2.2497 -1.9318
H -1.0084 5.2470 0.0640
H 0.1901 5.1507 1.3517
H -1.5146 5.2939 1.7539
H -2.8368 3.4538 -0.0403
H -3.0394 3.4741 1.7089
H -2.6832 1.9533 0.8737
H 0.3755 3.0743 2.8351
H -0.8699 1.8373 2.7244
H -1.2955 3.4692 3.2347
C -0.6034 -0.7307 -4.4179
C -0.5584 -1.9541 -3.5466
C -0.8717 -3.1863 -4.1191
C -0.8042 -4.3341 -3.3482
C -1.1219 -5.6767 -3.9617
C -0.4477 -4.2815 -2.0105
C -0.1438 -3.0561 -1.3535
C -0.1911 -1.9082 -2.2106
N 0.1662 -2.7764 -0.0638
C 0.3666 -3.7635 1.0224
C 0.2677 -5.2589 0.6867
C 1.7713 -3.5649 1.6032
C -0.6685 -3.5279 2.1281
H -0.6900 -1.0176 -5.4670
H 0.2891 -0.1179 -4.3046
H -1.4555 -0.1003 -4.1696
H -1.1479 -3.2432 -5.1666
H -1.3815 -5.5765 -5.0162
H -1.9624 -6.1533 -3.4520
H -0.2695 -6.3562 -3.8869
H -0.4237 -5.2232 -1.4999
H 0.1387 -0.9233 -1.8235
H 1.0026 -5.5688 -0.0571
H -0.7307 -5.5411 0.3580
H 0.4755 -5.8124 1.6058
H 2.5294 -3.7681 0.8420
H 1.9354 -4.2385 2.4506
H 1.9026 -2.5471 1.9549
H -1.6766 -3.6567 1.7259
H -0.5987 -2.5280 2.5430
H -0.5210 -4.2452 2.9422



2.
Computed, not measured: C34H59BrN4O5Tl as an isolated structure, with ωB97M-V/def2-TZVPD.

Output
LUMO: 2.314 eV
HOMO energy: -4.5931 eV
total charge: -1

Cartesian coordinates (Å):
Tl 2.3934 -0.5429 0.2050
C 1.4688 3.8546 -4.6155
C 0.8307 2.7657 -3.7472
C -0.5886 3.1665 -3.3255
C -1.4830 2.0707 -2.7161
C -2.8190 2.7107 -2.3519
C -1.7282 0.9185 -3.6949
N -0.7827 1.5464 -1.4959
C -1.5032 0.6443 -0.5628
C -2.0914 1.3937 0.6181
N -1.0738 2.0889 1.3862
C -0.2722 1.2284 2.2476
C 1.1866 1.7192 2.3167
O 1.6123 2.1274 3.3984
O 1.8508 1.6955 1.2155
C -1.6108 3.3238 1.9848
C -1.1624 3.6089 3.4184
C -1.4252 4.5141 1.0382
C -0.0305 4.9673 0.5626
C -0.2806 6.2539 -0.2334
C 0.9115 5.2870 1.7287
N 0.5665 3.9382 -0.3233
C 1.6081 4.4293 -1.2220
C 2.4119 3.3032 -1.8519
N 1.6769 2.3186 -2.6319
C 2.5392 1.2225 -3.0540
C 1.7295 -0.0723 -3.2732
O 1.9674 -0.7489 -4.2712
O 0.8470 -0.3027 -2.3775
H 0.8997 3.9892 -5.5370
H 2.4868 3.5738 -4.8897
H 1.5084 4.8172 -4.1032
H 0.7204 1.8866 -4.3906
H -1.1110 3.5091 -4.2246
H -0.5579 4.0136 -2.6378
H -3.2911 3.0703 -3.2680
H -2.6916 3.5592 -1.6801
H -3.4975 1.9907 -1.8934
H -1.8408 1.3191 -4.7039
H -2.6487 0.3863 -3.4470
H -0.9103 0.1984 -3.6934
H 0.0497 0.9792 -1.8553
H -0.3933 2.3535 -0.9667
H -0.7645 -0.0773 -0.2129
H -2.2605 0.0746 -1.1006
____________

Say how many lines of the block further above hold the word "C34H58MnN5SSi", as a bare number.

1